12th Grade

**Crystal structures, as found in the file**
********
A geometry-optimized Ba3As14 structure, computed with GGA-PBEsol.

Summary:
Raw total energy: -5.01 eV/atom
Total moment: 0.00 Bohr magnetons per cell
Density: 5.32 g cm⁻³

Cell: 6.814 13.610 11.935 Å, 90.00 124.55 90.00°
Fractional coordinates of all 34 atoms:
Ba  0.000  0.000  0.000
Ba  0.000  0.500  0.500
Ba  0.441  0.157  0.634
Ba  0.441  0.343  0.134
Ba  0.559  0.657  0.866
Ba  0.559  0.843  0.366
As  0.001  0.221  0.873
As  0.001  0.279  0.373
As  0.067  0.006  0.685
As  0.067  0.494  0.185
As  0.104  0.221  0.220
As  0.104  0.279  0.720
As  0.232  0.640  0.135
As  0.232  0.860  0.635
As  0.276  0.062  0.329
As  0.276  0.438  0.829
As  0.302  0.691  0.481
As  0.302  0.809  0.981
As  0.428  0.577  0.378
As  0.428  0.923  0.878
As  0.572  0.077  0.122
As  0.572  0.423  0.622
As  0.698  0.191  0.019
As  0.698  0.309  0.519
As  0.724  0.562  0.171
As  0.724  0.938  0.671
As  0.768  0.140  0.365
As  0.768  0.360  0.865
As  0.896  0.721  0.280
As  0.896  0.779  0.780
As  0.933  0.506  0.815
As  0.933  0.994  0.315
As  0.999  0.721  0.627
As  0.999  0.779  0.127


Below is an optimized crystal structure of NaTl2HgRh, with properties calculated at the PBE level.

Cell lengths 5.258, 5.258, 5.371 Å; angles 90.00, 90.00, 90.00 degrees
Sites, in units of the cell vectors:
Hg: 0.000 0.000 0.500
Tl: 0.500 0.000 0.000
Tl: 0.000 0.500 0.000
Rh: 0.000 0.000 0.000
Na: 0.500 0.500 0.500

Results
N(E_F) = 0.567 states/eV/atom
formation energy from the elements = -26 meV per atom
calculated volume = 148.5 Å³/cell


Below is an optimized crystal structure of SrBe2Se, with properties calculated at the PBE level.

Cell lengths 3.364, 3.365, 6.682 Å; angles 90.00, 90.00, 90.00 degrees
Sites, in units of the cell vectors:
Sr: 0.500 0.500 0.750
Se: 0.500 0.500 0.250
Be: 0.000 0.000 0.414
Be: 0.000 0.000 0.086

Results
N(E_F) = 0.544 states/eV/atom
calculated volume = 75.6 Å³/cell
formation energy without anion corrections = 237 meV per atom
********
**The entry goes on**

  • Welcome Senior Class! 

    Each year, seniors will work directly with their School Counselor during a one-on-one meeting. This meeting will include a conversation on current academic standing, post-secondary goals, and any concerns the student may have about senior year or their plans for after graduation.

    Senior Information Night Presentation


    College Advising

    Each counselor is set up to meet with students/parents/guardians regarding college.  Appointment times can be scheduled via email to the student's current school counselor.

    A-Cor: Katherine Menacho- katherine.menacho@ucps.k12.nc.us

Attached: crystal structures >
[1]
The following is a DFT calculation (PBE-GGA) of CeNdGdPb after structural relaxation.

Lattice parameters (Å, degrees): 5.5280 5.5280 5.5280 60.00 60.00 60.00
With the nearest neighbours (Å) after each atom.
Atoms (fractional coordinates):
Ce 0.0000 0.0000 0.0000  4 Gd 3.39, 4 Nd 3.39
Nd 0.2500 0.2500 0.2500  4 Pb 3.39, 4 Ce 3.39
Gd 0.7500 0.7500 0.7500  4 Pb 3.39, 4 Ce 3.39
Pb 0.5000 0.5000 0.5000  4 Nd 3.39, 4 Gd 3.39

Output
VASP energy = -28.84 eV for the cell shown

=====

[2]
The following is a DFT calculation (PBE-GGA) of NdYGaGe after structural relaxation.

Lattice parameters (Å, degrees): 4.0619 5.9450 5.9450 43.49 90.00 90.00
With the nearest neighbours (Å) after each atom.
Atoms (fractional coordinates):
Nd 0.0000 0.0000 0.0000  4 Ga 3.08, 3 Ge 3.09-3.28
Y 0.5000 0.2797 0.2797  4 Ge 3.07, 3 Ga 3.16-3.23
Ga 0.5000 0.5660 0.5660  2 Ge 2.65
Ge 0.0000 0.7198 0.7198  2 Ga 2.65

Output
VASP energy = -22.02 eV for the cell shown

=====

[3]
The following is a DFT calculation (PBE-GGA) of LiMgAl4 after structural relaxation.

Lattice parameters (Å, degrees): 5.4074 5.4074 5.4074 60.00 60.00 60.00
With the nearest neighbours (Å) after each atom.
Atoms (fractional coordinates):
Li 0.0000 0.0000 0.0000  12 Al 3.17, 4 Mg 3.31
Mg 0.7500 0.7500 0.7500  12 Al 3.17, 4 Li 3.31
Al 0.3747 0.3747 0.3747  6 Al 2.70-2.71
Al 0.3747 0.3747 0.8759  6 Al 2.70-2.71
Al 0.3747 0.8759 0.3747  6 Al 2.70-2.71
Al 0.8759 0.3747 0.3747  6 Al 2.70-2.71

Output
VASP energy = -18.62 eV for the cell shown


Gd3BiIr after structural relaxation, computed with PBE.

a = 5.4162 Å, b = 5.4162 Å, c = 5.4162 Å
α = 90.00°, β = 90.00°, γ = 90.00°
With the nearest neighbours (Å) after each atom.
Sites, in units of the cell vectors:
Gd: 0.0000 0.0000 0.5000  2 Ir 2.71
Gd: 0.0000 0.5000 0.0000  2 Ir 2.71
Gd: 0.5000 0.0000 0.0000  2 Ir 2.71
Bi: 0.5000 0.5000 0.5000  12 Gd 3.83
Ir: 0.0000 0.0000 0.0000  6 Gd 2.71

**Final energy**: -57.843 eV/cell
**V**: 158.9 Å³/f.u.
**Calculated formation energy**: -0.57 eV/atom

SmDyEr3Sc after structural relaxation, computed with PBE.

a = 7.8054 Å, b = 7.8054 Å, c = 9.8904 Å
α = 90.00°, β = 90.00°, γ = 143.12°
With the nearest neighbours (Å) after each atom.
Sites, in units of the cell vectors:
Sm: 0.0020 0.9980 0.7500  6 Er 3.48-3.54, 2 Sc 3.49, 4 Dy 3.49
Sm: 0.9980 0.0020 0.2500  6 Er 3.48-3.54, 2 Sc 3.49, 4 Dy 3.49
Dy: 0.5000 0.5000 0.0000  4 Sm 3.49, 6 Er 3.51-3.52, 2 Sc 3.51
Dy: 0.5000 0.5000 0.5000  4 Sm 3.49, 6 Er 3.51-3.52, 2 Sc 3.51
Er: 0.1680 0.8320 0.9997  5 Er 3.45-3.50, 3 Sc 3.47-3.49, 2 Sm 3.48-3.53, 2 Dy 3.51
Er: 0.1680 0.8320 0.5003  5 Er 3.45-3.50, 3 Sc 3.47-3.49, 2 Sm 3.48-3.53, 2 Dy 3.51
Er: 0.3305 0.6695 0.7500  2 Sc 3.45, 6 Er 3.45-3.50, 2 Dy 3.52, 2 Sm 3.54
Er: 0.6695 0.3305 0.2500  2 Sc 3.45, 6 Er 3.45-3.50, 2 Dy 3.52, 2 Sm 3.54
Er: 0.8320 0.1680 0.0003  5 Er 3.45-3.50, 3 Sc 3.47-3.49, 2 Sm 3.48-3.53, 2 Dy 3.51
Er: 0.8320 0.1680 0.4997  5 Er 3.45-3.50, 3 Sc 3.47-3.49, 2 Sm 3.48-3.53, 2 Dy 3.51

    Cou-Hel: Joanna Ellis- joanna.ellis@ucps.k12.nc.us

    Hem-Mc: Marcus Clyburn- marcus.clyburn@ucps.k12.nc.us

Someone pasted data records at this point
********
Pm6Nd2Y | PBE-GGA | optimized geometry

Cell lengths 10.5395, 10.5395, 6.2627 Å; angles 91.74, 91.74, 117.57 degrees
Element x y z (fractional)
Pm: 0.0028 0.8344 0.9989
Pm: 0.0814 0.5821 0.2547
Pm: 0.1656 0.9972 0.5011
Pm: 0.3338 0.5035 0.9984
Pm: 0.4179 0.9186 0.2453
Pm: 0.4965 0.6662 0.5016
Pm: 0.5035 0.3338 0.4984
Pm: 0.5821 0.0814 0.7547
Pm: 0.6662 0.4965 0.0016
Pm: 0.8344 0.0028 0.4989
Pm: 0.9186 0.4179 0.7453
Pm: 0.9972 0.1656 0.0011
Nd: 0.1693 0.3310 0.4992
Nd: 0.3310 0.1693 0.9992
Nd: 0.6690 0.8307 0.0008
Nd: 0.8307 0.6690 0.5008
Y: 0.2494 0.7506 0.7500
Y: 0.7506 0.2494 0.2500

Output
As for the energy above the lowest structure with this stoichiometry: 46 meV/atom.

CaPrHo4 | PBE-GGA | optimized geometry

Cell lengths 6.6723, 6.6723, 6.6723 Å; angles 60.00, 60.00, 60.00 degrees
Element x y z (fractional)
Ca: 0.0000 0.0000 0.0000
Pr: 0.2500 0.2500 0.2500
Ho: 0.1283 0.6239 0.6239
Ho: 0.6239 0.1283 0.6239
Ho: 0.6239 0.6239 0.1283
Ho: 0.6239 0.6239 0.6239

PmHfInAg | PBE-GGA | optimized geometry

Cell lengths 5.1400, 5.1400, 5.1400 Å; angles 60.00, 60.00, 60.00 degrees
Element x y z (fractional)
Pm: 0.0000 0.0000 0.0000
Hf: 0.5000 0.5000 0.5000
In: 0.2500 0.2500 0.2500
Ag: 0.7500 0.7500 0.7500

Tl6SCl4 | PBE-GGA | optimized geometry

Cell lengths 8.6662, 8.6662, 9.3535 Å; angles 90.00, 90.00, 90.00 degrees
Element x y z (fractional)
Tl: 0.0000 0.0000 0.1951
Tl: 0.0000 0.0000 0.8049
Tl: 0.1070 0.3207 0.5000
Tl: 0.1793 0.3930 0.0000
Tl: 0.3207 0.8930 0.5000
Tl: 0.3930 0.8207 0.0000
Tl: 0.5000 0.5000 0.3049
Tl: 0.5000 0.5000 0.6951
Tl: 0.6070 0.1793 0.0000
Tl: 0.6793 0.1070 0.5000
Tl: 0.8207 0.6070 0.0000
Tl: 0.8930 0.6793 0.5000
S: 0.0000 0.0000 0.5000
S: 0.5000 0.5000 0.0000
Cl: 0.1759 0.6759 0.2500
Cl: 0.1759 0.6759 0.7500
Cl: 0.3241 0.1759 0.2500
Cl: 0.3241 0.1759 0.7500
Cl: 0.6759 0.8241 0.2500
Cl: 0.6759 0.8241 0.7500
Cl: 0.8241 0.3241 0.2500
Cl: 0.8241 0.3241 0.7500

Output
Its formation energy without anion corrections is -0.82 eV per atom.

ScHgCl2 | PBE-GGA | optimized geometry

Cell lengths 3.8618, 4.4013, 5.2389 Å; angles 90.00, 90.00, 90.00 degrees
Element x y z (fractional)
Sc: 0.0000 0.0000 0.0000
Hg: 0.5000 0.0000 0.5000
Cl: 0.0000 0.5000 0.5000
Cl: 0.5000 0.5000 0.0000

Output
Its formation energy without anion corrections is -0.68 eV per atom. As for the energy above the lowest structure with this stoichiometry: 708 meV/atom.

Al2AuF | PBE-GGA | optimized geometry

Cell lengths 4.4304, 4.4304, 4.4304 Å; angles 60.00, 60.00, 60.00 degrees
Element x y z (fractional)
Al: 0.2500 0.2500 0.2500
Al: 0.7500 0.7500 0.7500
Au: 0.0000 0.0000 0.0000
F: 0.5000 0.5000 0.5000

Output
Its formation energy without anion corrections is -0.73 eV per atom. As for the energy above the lowest structure with this stoichiometry: 25 meV/atom.

| no. | E (eV for the cell shown) | total magnetic moment (μB/cell) |
| --- | --- | --- |
| 1 | -87.3 | 0.000 |
| 2 | -23.8 | 0.000 |
| 3 | -20.7 | 0.763 |
| 4 | -69.5 | 0.000 |
| 5 | -13.1 | 0.343 |
********

    Me-Sal: Christi Ponder- christi.ponder@ucps.k12.nc.us

    San-Z: Shannon Thomas- shannon.thomas@ucps.k12.nc.us


    General Reminders:

    • Use a personal email address for any accounts you create for college or for other plans after high school. Your student email account will expire once you graduate from high school.
    • Use your full name as it appears on your birth certificate on any accounts you create for college. This is important because it will match your transcript.
    • Be aware of deadlines for applications and for scholarships. You may need to start preparing some materials further in advance than you realize (like recommendations or essays).

    Reminders for Four-Year College-Bound and Two-Year College-Bound Students:

    • Log into your SCOIR Account. SCOIR is the platform UCPS uses to send colleges your transcripts and to submit letters of recommendation. Once you decide on which university you will attend, you will update your SCOIR account with this information so your final transcript can be sent.
    • Create a CFNC Account. This is the account you will use to apply to community colleges and/or four-year colleges.  It is also the account you will use to complete RDS. Once you have created your account, click on "apply for college" and then "application hub." You will be able to start your applications there. You will be choosing "undergraduate application" from the options available.
    • If you are applying to three or more four-year colleges, create a Common App Account. You will want to copy and paste your Common App ID into your SCOIR personal details page so the two accounts are linked. For some schools, you will need to write a common essay for this account. If you have any questions about the essay, feel free to reach out to Ms. Chandler or look at the essay writing section on the Forest Hills College Advising Website.
    • Complete the Residency Determination Service (RDS). Public four-year colleges offer in-state tuition (a discounted tuition rate) to North Carolina residents. They also reserve a certain number of spaces for North Carolina residents in their incoming first-year class. This form is super important to fill out before you apply!  Schedule a meeting with Ms. Chandler or use the Forest Hills College Advising Website for more information on what you need to gather to complete this form.
    • Double-check to see if a college requires recommendations. If it does, then ask your teacher at least two weeks in advance.
    • The 2024-25 FAFSA opens on December 1st! 

    Seniors are encouraged to check out this link to view information on application deadlines, class sizes, average GPA/test scores, and links to each school's scholarship website.